Author Archive: Brett Owens

Chief Investment Strategist

Materials data from another source follow:
+++
Record 1
The following is a PBE calculation of TeMoWSe2S after structural relaxation, from Materials Project.

Results
Its total energy after the MP2020 corrections is -6.9694 eV per atom. Its energy relative to the elements is -0.6235 eV/atom. The value obtained for the final energy is -6.89 eV/atom. The energy above the most stable polymorph in this dataset comes out at 1 meV/atom.

Cell lengths 3.3429, 3.3429, 38.5916 Å; angles 90.00, 90.00, 120.00 degrees
With the nearest neighbours (Å) after each atom.
Space group P3m1 (No. 156)
One atom of each set of equivalent atoms:
Te: 0.0000 0.0000 0.0000 [1 per cell]  3 Mo 2.70
Te: 0.0000 0.0000 0.0982 [1 per cell]  3 Mo 2.71
Mo: 0.0000 0.0000 0.8603 [1 per cell]  6 Se 2.55
Mo: 0.6667 0.3333 0.0491 [1 per cell]  6 Te 2.70-2.71
W: 0.0000 0.0000 0.2382 [1 per cell]  6 Se 2.56
W: 0.6667 0.3333 0.6732 [1 per cell]  6 S 2.46
Se: 0.6667 0.3333 0.1948 [1 per cell]  3 W 2.56
Se: 0.6667 0.3333 0.2816 [1 per cell]  3 W 2.56
Se: 0.6667 0.3333 0.8172 [1 per cell]  3 Mo 2.55
Se: 0.6667 0.3333 0.9035 [1 per cell]  3 Mo 2.55
S: 0.0000 0.0000 0.6338 [1 per cell]  3 W 2.46
S: 0.0000 0.0000 0.7126 [1 per cell]  3 W 2.46


Record 2
The following is a PBE calculation of Te2MoWSeS after structural relaxation, from Materials Project.

Results
Its total energy after the MP2020 corrections is -6.7929 eV per atom. Its energy relative to the elements is -0.5058 eV/atom. The value obtained for the final energy is -6.71 eV/atom. The energy above the most stable polymorph in this dataset comes out at 1 meV/atom.

Cell lengths 3.3955, 3.3955, 39.8602 Å; angles 90.00, 90.00, 120.00 degrees
With the nearest neighbours (Å) after each atom.
Space group P3m1 (No. 156)
One atom of each set of equivalent atoms:
Te: 0.0000 0.0000 0.0000 [1 per cell]  3 Mo 2.71
Te: 0.0000 0.0000 0.0941 [1 per cell]  3 Mo 2.71
Te: 0.3333 0.6667 0.1893 [1 per cell]  3 Mo 2.71
Te: 0.3333 0.6667 0.2834 [1 per cell]  3 Mo 2.71
Mo: 0.0000 0.0000 0.2363 [1 per cell]  6 Te 2.71
Mo: 0.3333 0.6667 0.0470 [1 per cell]  6 Te 2.71
W: 0.0000 0.0000 0.8600 [1 per cell]  6 S 2.47
W: 0.3333 0.6667 0.4239 [1 per cell]  6 Se 2.57
Se: 0.0000 0.0000 0.3823 [1 per cell]  3 W 2.57
Se: 0.0000 0.0000 0.4654 [1 per cell]  3 W 2.57
S: 0.3333 0.6667 0.8221 [1 per cell]  3 W 2.47
S: 0.3333 0.6667 0.8978 [1 per cell]  3 W 2.47


Record 3
The following is a PBE calculation of TeMoWSe2S after structural relaxation, from Materials Project.

Results
Its total energy after the MP2020 corrections is -6.9332 eV per atom. Its energy relative to the elements is -0.5873 eV/atom. The value obtained for the final energy is -6.85 eV/atom. The energy above the most stable polymorph in this dataset comes out at 37 meV/atom.

Cell lengths 3.3467, 3.3467, 38.0490 Å; angles 90.00, 90.00, 120.00 degrees
With the nearest neighbours (Å) after each atom.
Space group P3m1 (No. 156)
One atom of each set of equivalent atoms:
Te: 0.0000 0.0000 0.0000 [1 per cell]  3 W 2.71
+++

Contrarians: Our Buy Window on This 8% Dividend Is Open (for Now)

Brett Owens, Chief Investment Strategist
Updated: May 14, 2024

It blows me away that folks still think high interest rates will be around forever. Truth is, rates are already starting to fall!

But no one’s really paying attention (yet!). Which leaves us a brief window to lock in some sweet 8%+ dividends from one of our favorite utility-focused funds. This bargain-priced buy soars when rates drop.

Look Beyond the Headlines for the Real Rate Story

Remember January, when all the talk was about how rates would be cut six times this year?

Poof. Those hopes were history before winter—such as it was—ended.

Nowadays, futures traders have almost completely thrown in the towel—they’re calling for just two rate cuts between now and January.… Read more

Tiny Stocks, Tremendous Yields: 5 Small Caps Yielding up to 13.8%

Brett Owens, Chief Investment Strategist
Updated: May 10, 2024

Small-cap stocks are on sale. We can buy select names for just 8.8 times earnings and 83% of book value.

Large cap stocks rarely sell this cheap. That is the problem with popularity! Which is why we’re looking small but thinking big, eyeing payouts between 7.3% and 13.8%.

(Those dividends are no typos. The beauty of being nimble individual investors means we can fish in these small but potentially lucrative ponds.)

Now small cap stocks aren’t always this cheap. Traditionally, smaller firms trade at a premium to their large-cap counterparts given their outsized upside potential. But today, small caps are less expensive by just about every valuation measure.… Read more

It’s Actually Easy to Market Time This 10.5% Dividend

Brett Owens, Chief Investment Strategist
Updated: May 8, 2024

DoubleLine Income Solutions (DSL) took its biannual trip to the bargain bin a few weeks ago. It was a short stay, as usual.

By mid-April, vanilla investors had worked themselves into a hysterical state. They somehow convinced themselves that the Federal Reserve was going to continue raising rates.

Let me repeat—they worried that, in an election year, the Fed was going to keep on hiking. Unlikely.

Even Bloomberg lamented that traders saw “no relief in sight for bonds.” A hopeless howl that piqued our contrarian interest. No doubt, relief was just around the corner.

Indeed it was in the form of Chairman Jay Powell and his soothing postgame pillow talk.… Read more

Powell’s “Quiet QE” Could Send This 9% Payout Soaring

Brett Owens, Chief Investment Strategist
Updated: May 7, 2024

“Don’t fight the Fed” is my top investing rule—but what the heck do we do when Jay Powell says one thing and then does another?

We buy bonds! Below we’ll dive into a bond fund kicking out a sweet 9% yield and sending payouts our way every month.

But first, let’s get to the heart of the Fed chief’s doublespeak.

Did you watch Powell’s press conference last week?

If you’re like me, you probably weren’t surprised by most of it. He did his usual tough-guy talk on rates. But then, almost as an aside, he said the Fed is slowing its campaign to shrink its balance sheet—known as “quantitative tightening.”… Read more

This Ticker Turns Nvidia Into a 9.2% Dividend Payer

Brett Owens, Chief Investment Strategist
Updated: May 3, 2024

Stock market rallies climb walls of worry. Well, we have no shortage of such worries today!

A few days ago, Bloomberg lamented there was “no relief in sight for bonds”. This was ironic because relief—the catalyst for the next big bond rally—is hidden in plain sight. Despite the despair, 10-year Treasury rates are still a ways off from their recent 5% highs last October:

Reality Check: Rates Still Lower Than Last Year

Attached: materials data >
~~~
Record 1
Below is a geometry-optimized La2SiSeO4 structure, with properties calculated at the r2SCAN level.

```
32
Lattice="6.2991 0.0000 0.0000 0.0000 7.3331 0.0000 0.0000 0.0000 11.2123" Properties=species:S:1:pos:R:3 pbc="T T T"
La 0.6737 1.8333 0.0000
La 0.6737 1.8333 5.6061
La 2.3649 3.9409 2.8031
La 2.3649 7.0588 8.4092
La 3.9342 0.2743 2.8031
La 3.9342 3.3922 8.4092
La 5.6254 5.4999 0.0000
La 5.6254 5.4999 5.6061
Si 2.4469 5.4999 0.0000
Si 2.4469 5.4999 5.6061
Si 3.8522 1.8333 0.0000
Si 3.8522 1.8333 5.6061
Se 0.5049 4.4183 8.4092
Se 0.5049 6.5815 2.8031
Se 5.7942 0.7517 8.4092
Se 5.7942 2.9149 2.8031
O 1.4729 4.2405 0.3637
O 1.4729 4.2405 5.2424
O 1.4729 6.7593 5.9699
O 1.4729 6.7593 10.8485
O 2.8526 1.6989 6.9026
O 2.8526 1.6989 9.9158
O 2.8526 1.9676 1.2964
O 2.8526 1.9676 4.3097
O 3.4465 5.3655 6.9026
O 3.4465 5.3655 9.9158
O 3.4465 5.6342 1.2964
O 3.4465 5.6342 4.3097
O 4.8263 0.5739 0.3637
O 4.8263 0.5739 5.2424
O 4.8263 3.0927 5.9699
O 4.8263 3.0927 10.8485
```

Its symmetry is Pbcm (57).

Record 2
Below is a geometry-optimized La2SiO5 structure, with properties calculated at the r2SCAN level.

```
32
Lattice="7.4168 -3.5240 0.0000 7.4168 3.5240 0.0000 -5.7864 0.0000 9.4183" Properties=species:S:1:pos:R:3 pbc="T T T"
La -2.6454 0.8650 7.8325
La 3.7625 1.7648 5.0567
La 0.2478 -0.8650 3.1234
La 2.3916 1.7648 9.0708
La 6.6557 -1.7648 0.3475
La 8.7995 0.8650 6.2949
La 5.2848 -1.7648 4.3616
La 11.6927 -0.8650 1.5857
Si 0.7875 0.5961 6.4762
Si 3.6807 -0.5961 1.7671
Si 5.3666 0.5961 7.6512
Si 8.2598 -0.5961 2.9421
O 6.5622 2.8992 0.9922
O -0.7845 0.9219 6.2658
O 1.6897 1.9694 6.4727
O 5.3783 2.8992 3.7170
O 4.2184 0.3961 0.5792
O 2.1087 -0.9219 1.5566
O 4.4644 1.9694 7.6547
O 1.3253 -0.3961 5.2884
O 4.0119 0.0983 3.2186
O 1.1187 -0.0983 7.9277
O 7.9286 0.0983 1.4906
O 5.0354 -0.0983 6.1997
O 7.7221 0.3961 4.1299
O 4.5829 -1.9694 1.7636
O 6.9386 0.9219 7.8616
O 4.8289 -0.3961 8.8390
O 3.6690 -2.8992 5.7013
O 7.3576 -1.9694 2.9456
O 9.8318 -0.9219 3.1525
O 2.4852 -2.8992 8.4261
```

Its symmetry is C2/c (15).

Record 3
Below is a geometry-optimized La2SiO5 structure, with properties calculated at the r2SCAN level.

```
32
Lattice="9.2998 0.0000 0.0000 0.0000 7.5701 0.0000 -2.2546 0.0000 6.6400" Properties=species:S:1:pos:R:3 pbc="T T T"
La -0.4237 0.9462 1.5485
La -1.5511 2.8388 4.8685
La 3.4093 1.1796 0.6227
La 2.2820 2.6054 3.9427
La 4.7632 4.9647 2.6973
La 3.6359 6.3905 6.0173
La 8.5962 4.7313 1.7715
La 7.4689 6.6239 5.0915
Si 2.6869 4.3609 0.2776
Si 1.5596 6.9942 3.5976
Si 5.4856 0.5759 3.0424
Si 4.3583 3.2092 6.3624
O -1.1039 0.9581 6.3258
O 0.0234 2.8270 3.0058
O -1.1220 4.7815 6.6026
O 0.0053 6.5736 3.2826
O 1.8872 0.5469 2.4349
O 0.7599 3.2382 5.7548
O 1.7082 0.2821 4.9874
O 2.8355 3.5029 1.6674
O 3.6803 5.6228 0.3496
O 2.5530 5.7324 3.6696
O 4.4922 1.8377 2.9704
O 3.3649 1.9473 6.2904
O 4.2097 4.0672 4.9726
O 5.3370 7.2880 1.6526
O 6.2853 4.3319 0.8851
O 5.1580 7.0232 4.2051
O 7.0399 0.9965 3.3574
O 8.1672 2.7886 0.0374
~~~

If they put in a “lower high”—as I’m expecting they will, thanks to a slowing economy and labor market—it will be wildly bullish for bonds (which trade inverse rates.)… Read more

Ditch the Goofy Spreadsheet for This “Must Have” Dividend Tool

Brett Owens, Chief Investment Strategist
Updated: May 1, 2024

“If you own dividend-paying stocks, you’d be a fool to not be using Income Calendar,” my man Mark P. from California writes.

Tell ‘em, Mark!

We are devoted to retiring on dividends here at Contrarian Outlook. But a little bit of work in retirement is OK. As income investors, we should be able to, well, project our income.

Note that I said a little bit of work. Not a lot! I am not interested in fiddling with spreadsheets until the end of time, and neither is my man Mark.

That said, I’m springing a pop payout quiz on you.… Read more

Analysts Think This 170% Dividend Grower Is “Old News.” They’re Wrong.

Brett Owens, Chief Investment Strategist
Updated: April 30, 2024

One of the best ways to grab a dividend payer set to surge is a strategy you never hear about anymore: Pick up shares of a conglomerate.

I know, I know. The word brings to mind “old school” companies like 3M (MMM)—which we discussed a couple weeks ago—and Honeywell International (HON).

The deal on these companies is that they’re basically a collection of businesses that often have little overlap. They’re hated by Wall Street because they’re just too much work for the suits to value!

That’s great for us because these firms often have the most value waiting to be unlocked—especially if you buy as they tighten their focus on a specific industry.… Read more

Can You Earn a $40,000+ “Salary” With Monthly Dividend Stocks?

Brett Owens, Chief Investment Strategist
Updated: April 26, 2024

Monthly dividend stocks baby. Most income investors don’t even realize they exist!

Out of the few thousand stocks that trade publicly, only a few dozen pay monthly dividends. These hidden gems tend to have market caps in the hundreds of millions rather than billions.

Their relative obscurity is perfect for us. We’ll take them over their blue-chip quarterly cousins.

Quarterly dividends are pay days we prefer not to wait for. Plus, the payouts typically disappoint.

Let’s consider the distributions from a $500,000 portfolio split evenly among a group of five mega-cap dividend payers. These are uber-popular, widely held blue chips that you’ll see near the top of most major large-cap funds.… Read more

Perfect Pullback Play with a Safe 8.4% Payout

Brett Owens, Chief Investment Strategist
Updated: April 24, 2024

Some are fast. Some are slow.
Some are high. Some are low.
None of them is like another.
Don’t ask us why, go ask your mother.

Dr. Seuss

Here at Contrarian Outlook, we prefer slow—as in slow-moving share prices. And high—as in high yields.

As to why, well, I need to address why other (less sophisticated) investing websites have bad information regarding a very good fund. So bad, in fact, that vanilla investors are scared to buy this perfectly safe 8.4% dividend!

Before I send you to ask your mother, I’ll explain why our website is right and other websites are wrong.… Read more

This 10.4% Dividend Ticks Our 2 “Must-Have” Boxes

Brett Owens, Chief Investment Strategist
Updated: April 23, 2024

As folks who are always on the hunt for high-yield investments, we love 8%+ paying closed-end funds (CEFs).

CEFs, of course, are renowned for those high payouts—and the vast majority pay monthly. No “regular” stocks offer such a potent payout combo.

Best part is, many CEFs are on sale now: Of the 422 tracked by the CEF Connect screener, 372 currently trade at discounts to net asset value (NAV, or the value of their underlying assets).

That’s a great place to start our search for top-notch CEFs because a discount to NAV is basically free money: it lets us pick up, say, red-hot tech stocks like Texas Instruments (TXN), Amazon.comRead more